### File
Record 1
FeOF | Materials Project | PBE+U | optimized geometry; space-group type = Pm, No. 6
1.0
-2.7474 1.3751 0.2246
-1.1954 -2.9679 3.5489
5.3539 9.1150 9.6826
Fe O F
6 6 6
Cartesian
2.4012 3.1767 9.9219
-0.9920 0.9441 3.2107
0.5925 0.0815 6.7482
0.6289 3.5726 6.9446
2.4286 6.6408 10.1738
4.1657 6.1678 13.1922
1.4586 1.8286 6.6456
-1.2431 0.7453 1.3559
2.6984 6.8737 12.0482
3.2645 4.8953 9.9605
0.8488 3.7009 8.8492
0.9378 1.3332 3.3090
0.5488 3.7842 4.6699
-0.8898 0.7693 5.5314
-0.2156 -0.9936 3.4463
2.6267 4.1705 6.5956
4.4145 7.2292 9.7379
2.2725 6.6974 7.9178

***

Record 2
Li4Fe5P6WO24 | Materials Project | PBE+U | optimized geometry; space-group type = P1, No. 1
1.0
8.4923 0.0000 0.0000
3.8466 7.7567 0.0000
3.8628 2.5105 7.3564
O Fe P Li W
24 5 6 4 1
Cartesian
5.0361 4.3149 0.7441
7.0677 3.2670 4.3137
8.8849 2.1471 0.5705
6.8046 5.6358 7.2768
9.2417 4.7059 0.0399
10.1161 4.5526 4.2013
3.9875 3.5576 3.7114
11.0639 5.9053 6.6355
12.1068 6.4089 3.5057
11.0305 2.6136 5.4903
6.0843 5.7421 3.1705
9.2977 6.9228 2.9909
7.7167 3.9424 1.8041
10.3222 2.3974 2.9824
7.2947 8.1193 6.7114
4.1336 0.4970 1.3350
12.1165 9.8004 6.0824
10.0797 8.6962 5.0274
5.5424 7.7859 4.4558
5.8908 2.8470 6.5731
8.5322 6.2737 5.5803
10.3439 7.3236 0.7524
4.9830 7.7190 1.9435
6.2736 1.5297 2.2528
2.4178 1.5458 1.0977
10.5823 6.7109 4.8173
8.0132 5.1627 3.6634
0.1782 0.0464 0.0302
5.6950 3.6271 2.5725
6.8315 2.2796 5.4863
7.8946 6.6257 6.9889
9.3658 8.0192 1.8516
8.2389 3.5490 0.3930
11.0285 3.2764 4.0067
5.0586 6.8978 3.2611
9.8104 4.4339 6.2332
8.2103 8.1355 4.7243
8.2782 2.0714 2.6021
10.8039 5.7358 2.1829
13.8215 8.7420 6.2922

***

Record 3
MnH4C4O6 | Materials Project | PBE+U | optimized geometry; space-group type = C2/c, No. 15
1.0
-4.7250 -6.5589 2.1829
6.6563 -4.9571 -1.1092
4.3344 2.1680 16.0396
C H Mn O
24 24 6 36
Cartesian
4.6189 -8.4931 3.9186
3.7213 -1.9323 2.6189
1.0822 -1.8676 14.1079
1.8113 -5.2120 0.2670
3.6304 -1.3548 3.9742
2.9003 -5.6615 8.8025
4.1006 -4.9649 8.3020
0.4251 -2.5313 12.9664
5.1835 -7.4804 3.0054
1.6467 -0.8550 13.1946
2.1650 -4.3832 8.8113
1.3348 -6.6718 14.0969
5.2560 -7.8131 5.0633
1.0096 -1.5349 12.0499
5.8406 -6.8167 4.1469
2.5443 -7.4157 14.4944
2.6353 -7.9932 13.1391
4.7303 -2.7154 16.5626
3.3653 -3.6865 8.3107
4.9309 -2.6762 3.0164
4.8262 -2.1197 4.3783
1.5354 -6.6326 0.5507
1.4395 -7.2283 12.7350
4.4544 -4.1361 16.8463
9.0708 -4.2145 13.9971
7.3894 -2.9198 8.8141
5.3593 0.5822 14.3086
4.8623 -0.2821 15.5819
-2.8051 -5.1335 3.1162
0.8315 -0.8340 6.9716
1.4033 -9.0659 1.5313
4.1424 -7.9014 9.3857
6.4941 -3.9326 7.9300
-0.1487 -1.2513 2.2746
2.1233 -1.4466 7.7275
1.4130 -1.1438 1.8677
-1.1237 -6.4282 8.2992
4.8527 -8.2042 15.2455
0.9064 -9.9302 2.8047
2.2901 -0.2413 10.2607
2.4660 -9.4314 7.3341
3.7997 0.0834 9.7792
-2.2829 -5.9469 1.8221
-0.2284 -5.4154 9.1833
8.5485 -3.4012 15.2912
6.4144 -8.0967 14.8386
3.9755 -9.1067 6.8526
5.4342 -8.5140 10.1417
7.6477 -4.4281 2.9274
3.3282 -2.4786 -0.5546
-2.3625 -3.2795 1.0914
-1.3821 -4.9199 14.1859
5.4953 -1.3946 7.4652
-0.1953 -2.1954 9.1112
2.6368 -6.8606 9.1051
3.3877 -8.8226 12.5535
5.5901 0.2854 15.2253
5.7238 -3.4514 2.4155
9.0409 -4.2033 14.9863
6.8493 -3.0112 7.9897
-2.7752 -5.1447 2.1269
5.2825 -8.0193 6.3102
6.6021 -5.8227 4.2982
5.2773 -5.2981 7.9840
0.9831 -1.3287 10.8031
3.4167 -4.7810 17.1688
-0.3365 -3.5253 12.8151
0.6392 -0.6520 2.2472
0.6756 -9.6334 1.8880
3.6289 -2.4874 8.0082
5.0653 -8.2366 9.2649
4.0517 -1.6489 16.5325
5.1502 -7.2571 1.7632
3.9122 -9.5278 3.7551
0.9884 -4.0499 9.1293
2.8489 -4.5670 -0.0556
5.6265 -8.6960 14.8661
1.2003 -1.1114 7.8484
0.7584 -7.0961 11.6802
2.3534 0.1797 13.3581
0.5418 -5.8966 14.6978
-0.5837 -6.3369 9.1236
5.5073 -2.2519 5.4330
1.1155 -2.0910 15.3500
3.0366 -1.8187 1.5625
3.2734 -9.8062 6.9000
2.9923 0.4582 10.2132
2.8780 -0.5254 4.5597
2.2140 -7.6992 0.5807
3.2291 -7.5293 15.5508

***

The records above yield energy of formation values of -2.032, -2.373, -1.186 eV per atom, respectively.

### What to do
Retype the contents further up character by character.

### Result
Record 1
FeOF | Materials Project | PBE+U | optimized geometry; space-group type = Pm, No. 6
1.0
-2.7474 1.3751 0.2246
-1.1954 -2.9679 3.5489
5.3539 9.1150 9.6826
Fe O F
6 6 6
Cartesian
2.4012 3.1767 9.9219
-0.9920 0.9441 3.2107
0.5925 0.0815 6.7482
0.6289 3.5726 6.9446
2.4286 6.6408 10.1738
4.1657 6.1678 13.1922
1.4586 1.8286 6.6456
-1.2431 0.7453 1.3559
2.6984 6.8737 12.0482
3.2645 4.8953 9.9605
0.8488 3.7009 8.8492
0.9378 1.3332 3.3090
0.5488 3.7842 4.6699
-0.8898 0.7693 5.5314
-0.2156 -0.9936 3.4463
2.6267 4.1705 6.5956
4.4145 7.2292 9.7379
2.2725 6.6974 7.9178

***

Record 2
Li4Fe5P6WO24 | Materials Project | PBE+U | optimized geometry; space-group type = P1, No. 1
1.0
8.4923 0.0000 0.0000
3.8466 7.7567 0.0000
3.8628 2.5105 7.3564
O Fe P Li W
24 5 6 4 1
Cartesian
5.0361 4.3149 0.7441
7.0677 3.2670 4.3137
8.8849 2.1471 0.5705
6.8046 5.6358 7.2768
9.2417 4.7059 0.0399
10.1161 4.5526 4.2013
3.9875 3.5576 3.7114
11.0639 5.9053 6.6355
12.1068 6.4089 3.5057
11.0305 2.6136 5.4903
6.0843 5.7421 3.1705
9.2977 6.9228 2.9909
7.7167 3.9424 1.8041
10.3222 2.3974 2.9824
7.2947 8.1193 6.7114
4.1336 0.4970 1.3350
12.1165 9.8004 6.0824
10.0797 8.6962 5.0274
5.5424 7.7859 4.4558
5.8908 2.8470 6.5731
8.5322 6.2737 5.5803
10.3439 7.3236 0.7524
4.9830 7.7190 1.9435
6.2736 1.5297 2.2528
2.4178 1.5458 1.0977
10.5823 6.7109 4.8173
8.0132 5.1627 3.6634
0.1782 0.0464 0.0302
5.6950 3.6271 2.5725
6.8315 2.2796 5.4863
7.8946 6.6257 6.9889
9.3658 8.0192 1.8516
8.2389 3.5490 0.3930
11.0285 3.2764 4.0067
5.0586 6.8978 3.2611
9.8104 4.4339 6.2332
8.2103 8.1355 4.7243
8.2782 2.0714 2.6021
10.8039 5.7358 2.1829
13.8215 8.7420 6.2922

***

Record 3
MnH4C4O6 | Materials Project | PBE+U | optimized geometry; space-group type = C2/c, No. 15
1.0
-4.7250 -6.5589 2.1829
6.6563 -4.9571 -1.1092
4.3344 2.1680 16.0396
C H Mn O
24 24 6 36
Cartesian
4.6189 -8.4931 3.9186
3.7213 -1.9323 2.6189
1.0822 -1.8676 14.1079
1.8113 -5.2120 0.2670
3.6304 -1.3548 3.9742
2.9003 -5.6615 8.8025
4.1006 -4.9649 8.3020
0.4251 -2.5313 12.9664
5.1835 -7.4804 3.0054
1.6467 -0.8550 13.1946
2.1650 -4.3832 8.8113
1.3348 -6.6718 14.0969
5.2560 -7.8131 5.0633
1.0096 -1.5349 12.0499
5.8406 -6.8167 4.1469
2.5443 -7.4157 14.4944
2.6353 -7.9932 13.1391
4.7303 -2.7154 16.5626
3.3653 -3.6865 8.3107
4.9309 -2.6762 3.0164
4.8262 -2.1197 4.3783
1.5354 -6.6326 0.5507
1.4395 -7.2283 12.7350
4.4544 -4.1361 16.8463
9.0708 -4.2145 13.9971
7.3894 -2.9198 8.8141
5.3593 0.5822 14.3086
4.8623 -0.2821 15.5819
-2.8051 -5.1335 3.1162
0.8315 -0.8340 6.9716
1.4033 -9.0659 1.5313
4.1424 -7.9014 9.3857
6.4941 -3.9326 7.9300
-0.1487 -1.2513 2.2746
2.1233 -1.4466 7.7275
1.4130 -1.1438 1.8677
-1.1237 -6.4282 8.2992
4.8527 -8.2042 15.2455
0.9064 -9.9302 2.8047
2.2901 -0.2413 10.2607
2.4660 -9.4314 7.3341
3.7997 0.0834 9.7792
-2.2829 -5.9469 1.8221
-0.2284 -5.4154 9.1833
8.5485 -3.4012 15.2912
6.4144 -8.0967 14.8386
3.9755 -9.1067 6.8526
5.4342 -8.5140 10.1417
7.6477 -4.4281 2.9274
3.3282 -2.4786 -0.5546
-2.3625 -3.2795 1.0914
-1.3821 -4.9199 14.1859
5.4953 -1.3946 7.4652
-0.1953 -2.1954 9.1112
2.6368 -6.8606 9.1051
3.3877 -8.8226 12.5535
5.5901 0.2854 15.2253
5.7238 -3.4514 2.4155
9.0409 -4.2033 14.9863
6.8493 -3.0112 7.9897
-2.7752 -5.1447 2.1269
5.2825 -8.0193 6.3102
6.6021 -5.8227 4.2982
5.2773 -5.2981 7.9840
0.9831 -1.3287 10.8031
3.4167 -4.7810 17.1688
-0.3365 -3.5253 12.8151
0.6392 -0.6520 2.2472
0.6756 -9.6334 1.8880
3.6289 -2.4874 8.0082
5.0653 -8.2366 9.2649
4.0517 -1.6489 16.5325
5.1502 -7.2571 1.7632
3.9122 -9.5278 3.7551
0.9884 -4.0499 9.1293
2.8489 -4.5670 -0.0556
5.6265 -8.6960 14.8661
1.2003 -1.1114 7.8484
0.7584 -7.0961 11.6802
2.3534 0.1797 13.3581
0.5418 -5.8966 14.6978
-0.5837 -6.3369 9.1236
5.5073 -2.2519 5.4330
1.1155 -2.0910 15.3500
3.0366 -1.8187 1.5625
3.2734 -9.8062 6.9000
2.9923 0.4582 10.2132
2.8780 -0.5254 4.5597
2.2140 -7.6992 0.5807
3.2291 -7.5293 15.5508

***

The records above yield energy of formation values of -2.032, -2.373, -1.186 eV per atom, respectively.